So, last week was the hottest this year, plus humidity, peaking on Thursday and Friday. Of course, that's exactly when I had planned my monthly Japanese meeting. I decided to do as little preparation in the kitchen as possible, because my kitchen is a veritable sauna. I served fruits, and crackers and stuff which people could dip in cheeses, dips and sauces I got from the supermarket (except from Tahini which I made myself). I bought lots of ice cream and stuffed my freezer with it. I also went at the last moment and bought seeds and nuts - the Israeli favorite snack food - but they were not needed eventually.
13 people showed up. I had to borrow two chairs from a neighbor. I'll need to buy two or three more folding chairs, but I'll wait until the weather is better. Two air conditioners and a fan I ran didn't suffice. It was a hot evening. But it was rather successful. I had two Japanese guys among the visitors, and there was much laughter and - as one of the guests brought saké, people also got a little tipsy.
It was over by about 11PM, and I just filled a couple of trash bags, and decided to leave everything else for the morning.
Only sometime after midnight I heard a noise. I got up but couldn't see anything, and went back to sleep. Turned out one of the cats - probably Proxy - jumped on top of the fridge and to the cupboard above it, opening the freezer door with her hind legs. And it stayed open all night.
First thing I did was close it. But that wouldn't do. It wasn't cooling properly. And I noticed some frost was gathering on the back of the freezer. Of course, this is a no-frost fridge, but being open for 8 hours during hot and humid weather conditions is not exactly its operation bracket. I suppose the air ducts were blocked with ice, and the no-frost system wasn't enough to melt it back.
So I had to just defrost the whole thing. Of course I threw away everything in the freezer - I had to do that anyway after it was open for 8 hours. Frozen vegetables. Bread. Home-made chicken soup. And of course, all the ice cream left from the meeting - found their way to the trash.
I had all the contents of the fridge - things that can keep for a few hours, anyway - moved into bags and containers and put them all in my computer room, which was the only room air conditioned at that point. And then I gave the fridge and the freezer a thorough cleaning, while the ice was melting slowly. It hasn't had one for a while, I must admit. I also remembered the advice of the repairman last time I had cooling issue, and moved the fridge to clean up the heat dispersal griddle on its back. Luckily the spot behind the freezer wasn't too dirty. I always have nightmares of cockroaches multiplying in there, but there were just cat toys (of course).
The ice was melting and the drain pan at the bottom of the fridge was full to the brim. It didn't seem to be movable, though. And I had to drain it somehow. So I brought a bowl, put it on the floor, and stuck a few spent wipes into it - one end in the fridge drain pan, the other end above the bowl. The water sipped upwards into the towels by capillary power, and then siphoned down into the bowl. It was a slow but steady drip. Physics is cool. After about half the water drained out, I removed the wipes and emptied the bowl, cleaned the floor and sprayed it with insecticide, and moved the fridge back.
After I was convinced that water was definitely not condensing on the back of the freezer any more - a sign that all the ice has melted - I put everything back in and plugged it back in. It took another day before I was convinced that the fridge is in good working order - everything is cool, no ice is forming. And a bonus point: it was making an awful noise before all this happened, a rattling noise that even my mom commented on - over the phone - and said was not right. That noise is now gone. The kitchen is quiet.
All this was, as I said, in the hottest day of the year. And no matter how much liquid I was taking in, more was coming out. It was only some time in the night that I finally had everything in place, all the remains of the meeting put away, and the Roomba happily running around. Exhausting.
So I look forward to a quieter weekend this week. I do need to replenish my food supply. With that weather, I didn't go out of the house much, and I have an empty freezer, no bread at all. I didn't even have enough eggs last week, and it was either getting to the non-kosher supermarket after that exhausting day, and it was still terribly hot and humid at midnight (!) or find a convenience store that carries eggs in my neighborhood. There were a couple - but the eggs were past their due date. Thanks, but no thanks.
I called in the exterminators for the fourth time right now. They are getting annoyed with me. One thing is certain, if I ever have another hornets' nest, I'm not calling this extermination service. They don't have a clue about hornets, it seems. The horrible bait seems to have worked - but only partially. I can see at least four hornets flying around, and I don't know if that's all that's left or not, but I can't plug up the nest while they are still hovering around.
The weather is currently slightly better (less hot), and I'm waiting for my groceries to come from the online supermarket. Then I'll go get a hair cut. Then I hope to get some bread from my fave bakery (I'll buy some cookies there as well), and be back in time for my conversation lesson online at 17:00. At sundown perhaps I'll go to the non-kosher supermarket and buy the rest of the stuff I need - especially eggs and meats - and that will leave me the entire weekend without needing to go out at all.
Next month we have the holiday season. I asked my boss for the "bridge days" between Yom Kippur and Sukkot, that will give me some 17 days off straight. He'll decide on it in the beginning of the month. And with the end of August, all the kids running around the office will also be gone. People started bringing their kids to work, having exhausted all the ways to keep them out of the way during the summer vacation.
<<<
The following is a DFT calculation (PBE-GGA) of NdInO3 after structural relaxation.

Output
Formation energy from the elements: -2.464 eV/atom
M_tot: 0.000 μB per atom
Electronic total energy: -32.625 eV/cell

Unit cell a=4.1559 b=4.1559 c=4.1559 alpha=90.00 beta=90.00 gamma=90.00
Atoms (fractional coordinates):
Nd  0.0000  0.0000  0.0000
In  0.5000  0.5000  0.5000
O  0.0000  0.5000  0.5000
O  0.5000  0.0000  0.5000
>>>
Oh, and I'm buying a new iMac. I'm just waiting for the new ones to arrive in Israel. I'm buying the 27" i7 model. I'll also want a magic trackpad, but they don't know when those will arrive at all. Shinies! I want them now!